== Excerpt ==
=====
# 1
2 unconnected molecules or ions with the total composition C3H7NO2S, computed with ωB97M-V/def2-TZVPD.

## Properties
HOMO energy in Eh: -0.3603
ΔE to the lowest compared entry with this formula, charge and spin in kcal per mole: 40.0
LUMO level in hartree: 0.022
Orbital gap in eV: 10.4

Each atom is followed by the atoms it is bonded to, with distances in Å.
Atoms and positions in Å:
1 C 1.0155 1.9415 1.3240  C2 1.480, H7 1.122, H8 1.055, H9 1.037
2 C 0.0723 1.3333 0.3597  C1 1.480, N3 1.254, H10 1.047
3 N -0.7933 0.5814 0.8674  C2 1.254, C4 1.320
4 C -1.8526 -0.1581 0.5977  N3 1.320, O5 1.183, O6 1.306
5 O -2.9348 0.2947 0.4443  C4 1.183
6 O -1.5656 -1.4267 0.7202  C4 1.306, H11 0.949
7 H 0.7561 3.0085 1.5564  C1 1.122
8 H 1.9895 1.9799 0.9213  C1 1.055
9 H 0.7808 1.4626 2.2137  C1 1.037
10 H 0.2431 1.3866 -0.6719  C2 1.047
11 H -2.3341 -1.9821 0.7635  O6 0.949
12 S 0.9244 -2.9043 -3.1212  H13 1.391, H14 1.350
13 H 2.0248 -2.7814 -3.9638  S12 1.391
14 H 1.6740 -2.7359 -2.0112  S12 1.350

Atomic partial charges in e from the natural (NBO) method, atoms 1 to 8: atom 1 (C): -0.672, atom 2 (C): 0.214, atom 3 (N): -0.470, atom 4 (C): 0.856, atom 5 (O): -0.615, atom 6 (O): -0.678, atom 7 (H): 0.231, atom 8 (H): 0.224

---

# 2
C3H7NO2S in the gas phase, computed with ωB97M-V/def2-TZVPD.

## Properties
HOMO energy in Eh: -0.3318
ΔE to the lowest compared entry with this formula, charge and spin in kcal per mole: 61.5
LUMO level in hartree: 0.010
Orbital gap in eV: 9.3

Each atom is followed by the atoms it is bonded to, with distances in Å.
Atoms and positions in Å:
1 N 0.6658 -0.8269 0.7637  C2 1.428, H8 1.146, H9 1.028
2 C -0.4807 -0.0189 0.4932  N1 1.428, C3 1.567, C5 1.589, H10 1.058
3 C 0.1388 1.3499 0.0473  C2 1.567, S4 1.835, H11 1.165, H12 1.218
4 S 1.5246 1.2755 -1.1529  C3 1.835, H13 1.459
5 C -1.3841 -0.4450 -0.7425  C2 1.589, O6 1.191, O7 1.376
6 O -2.4664 -0.0424 -1.0335  C5 1.191
7 O -0.7598 -1.5225 -1.3274  C5 1.376, H14 1.090
8 H 1.3754 -0.3720 1.5398  N1 1.146
9 H 0.5074 -1.6405 1.3717  N1 1.028
10 H -0.9217 0.2190 1.4254  C2 1.058
11 H 0.3350 2.1944 0.8256  C3 1.165
12 H -0.6432 1.7121 -0.8137  C3 1.218
13 H 2.0663 -0.0068 -0.7167  S4 1.459
14 H 0.0426 -1.8760 -0.6800  O7 1.090

Atomic partial charges in e from the natural (NBO) method, atoms 1 to 8: atom 1 (N): -0.887, atom 2 (C): -0.203, atom 3 (C): -0.554, atom 4 (S): -0.075, atom 5 (C): 0.804, atom 6 (O): -0.543, atom 7 (O): -0.700, atom 8 (H): 0.396

---

# 3
C3H7NO2S in the gas phase, computed with ωB97M-V/def2-TZVPD.

## Properties
HOMO energy in Eh: -0.3540
ΔE to the lowest compared entry with this formula, charge and spin in kcal per mole: 9.5
LUMO level in hartree: 0.025
Orbital gap in eV: 10.3

Each atom is followed by the atoms it is bonded to, with distances in Å.
Atoms and positions in Å:
1 O 2.0097 -0.6824 1.8602  C2 1.202
2 C 1.4911 0.1246 1.1356  O1 1.202, O3 1.382, N4 1.357
3 O 2.0521 1.3776 0.9788  C2 1.382, H8 0.969
4 N 0.2857 0.1177 0.5114  C2 1.357, C5 1.446, H9 1.007
5 C -0.2671 -1.0919 -0.0556  N4 1.446, C6 1.503, H10 1.106, H11 1.091
6 C -1.6522 -0.8989 -0.6070  C5 1.503, S7 1.796, H12 1.078, H13 1.100
7 S -1.7551 0.4421 -1.7979  C6 1.796, H14 1.340
8 H 2.9047 1.3051 1.4345  O3 0.969
9 H 0.1499 0.9754 0.0022  N4 1.007
10 H 0.4192 -1.5401 -0.7988  C5 1.106
11 H -0.2045 -1.8796 0.6965  C5 1.091
12 H -1.9716 -1.7819 -1.1371  C6 1.078
13 H -2.3899 -1.0097 0.2008  C6 1.100
14 H -2.7186 1.2485 -1.3327  S7 1.340

Atomic partial charges in e from the natural (NBO) method, atoms 1 to 8: atom 1 (O): -0.633, atom 2 (C): 0.883, atom 3 (O): -0.712, atom 4 (N): -0.640, atom 5 (C): -0.233, atom 6 (C): -0.559, atom 7 (S): -0.043, atom 8 (H): 0.496

---

Copy entry 3 word for word.
C3H7NO2S in the gas phase, computed with ωB97M-V/def2-TZVPD.

## Properties
HOMO energy in Eh: -0.3540
ΔE to the lowest compared entry with this formula, charge and spin in kcal per mole: 9.5
LUMO level in hartree: 0.025
Orbital gap in eV: 10.3
=====

== Exercise ==
Next, duplicate the lines further up up to the one that holds "word.", that line included.

== Response ==
# 1
2 unconnected molecules or ions with the total composition C3H7NO2S, computed with ωB97M-V/def2-TZVPD.

## Properties
HOMO energy in Eh: -0.3603
ΔE to the lowest compared entry with this formula, charge and spin in kcal per mole: 40.0
LUMO level in hartree: 0.022
Orbital gap in eV: 10.4

Each atom is followed by the atoms it is bonded to, with distances in Å.
Atoms and positions in Å:
1 C 1.0155 1.9415 1.3240  C2 1.480, H7 1.122, H8 1.055, H9 1.037
2 C 0.0723 1.3333 0.3597  C1 1.480, N3 1.254, H10 1.047
3 N -0.7933 0.5814 0.8674  C2 1.254, C4 1.320
4 C -1.8526 -0.1581 0.5977  N3 1.320, O5 1.183, O6 1.306
5 O -2.9348 0.2947 0.4443  C4 1.183
6 O -1.5656 -1.4267 0.7202  C4 1.306, H11 0.949
7 H 0.7561 3.0085 1.5564  C1 1.122
8 H 1.9895 1.9799 0.9213  C1 1.055
9 H 0.7808 1.4626 2.2137  C1 1.037
10 H 0.2431 1.3866 -0.6719  C2 1.047
11 H -2.3341 -1.9821 0.7635  O6 0.949
12 S 0.9244 -2.9043 -3.1212  H13 1.391, H14 1.350
13 H 2.0248 -2.7814 -3.9638  S12 1.391
14 H 1.6740 -2.7359 -2.0112  S12 1.350

Atomic partial charges in e from the natural (NBO) method, atoms 1 to 8: atom 1 (C): -0.672, atom 2 (C): 0.214, atom 3 (N): -0.470, atom 4 (C): 0.856, atom 5 (O): -0.615, atom 6 (O): -0.678, atom 7 (H): 0.231, atom 8 (H): 0.224

---

# 2
C3H7NO2S in the gas phase, computed with ωB97M-V/def2-TZVPD.

## Properties
HOMO energy in Eh: -0.3318
ΔE to the lowest compared entry with this formula, charge and spin in kcal per mole: 61.5
LUMO level in hartree: 0.010
Orbital gap in eV: 9.3

Each atom is followed by the atoms it is bonded to, with distances in Å.
Atoms and positions in Å:
1 N 0.6658 -0.8269 0.7637  C2 1.428, H8 1.146, H9 1.028
2 C -0.4807 -0.0189 0.4932  N1 1.428, C3 1.567, C5 1.589, H10 1.058
3 C 0.1388 1.3499 0.0473  C2 1.567, S4 1.835, H11 1.165, H12 1.218
4 S 1.5246 1.2755 -1.1529  C3 1.835, H13 1.459
5 C -1.3841 -0.4450 -0.7425  C2 1.589, O6 1.191, O7 1.376
6 O -2.4664 -0.0424 -1.0335  C5 1.191
7 O -0.7598 -1.5225 -1.3274  C5 1.376, H14 1.090
8 H 1.3754 -0.3720 1.5398  N1 1.146
9 H 0.5074 -1.6405 1.3717  N1 1.028
10 H -0.9217 0.2190 1.4254  C2 1.058
11 H 0.3350 2.1944 0.8256  C3 1.165
12 H -0.6432 1.7121 -0.8137  C3 1.218
13 H 2.0663 -0.0068 -0.7167  S4 1.459
14 H 0.0426 -1.8760 -0.6800  O7 1.090

Atomic partial charges in e from the natural (NBO) method, atoms 1 to 8: atom 1 (N): -0.887, atom 2 (C): -0.203, atom 3 (C): -0.554, atom 4 (S): -0.075, atom 5 (C): 0.804, atom 6 (O): -0.543, atom 7 (O): -0.700, atom 8 (H): 0.396

---

# 3
C3H7NO2S in the gas phase, computed with ωB97M-V/def2-TZVPD.

## Properties
HOMO energy in Eh: -0.3540
ΔE to the lowest compared entry with this formula, charge and spin in kcal per mole: 9.5
LUMO level in hartree: 0.025
Orbital gap in eV: 10.3

Each atom is followed by the atoms it is bonded to, with distances in Å.
Atoms and positions in Å:
1 O 2.0097 -0.6824 1.8602  C2 1.202
2 C 1.4911 0.1246 1.1356  O1 1.202, O3 1.382, N4 1.357
3 O 2.0521 1.3776 0.9788  C2 1.382, H8 0.969
4 N 0.2857 0.1177 0.5114  C2 1.357, C5 1.446, H9 1.007
5 C -0.2671 -1.0919 -0.0556  N4 1.446, C6 1.503, H10 1.106, H11 1.091
6 C -1.6522 -0.8989 -0.6070  C5 1.503, S7 1.796, H12 1.078, H13 1.100
7 S -1.7551 0.4421 -1.7979  C6 1.796, H14 1.340
8 H 2.9047 1.3051 1.4345  O3 0.969
9 H 0.1499 0.9754 0.0022  N4 1.007
10 H 0.4192 -1.5401 -0.7988  C5 1.106
11 H -0.2045 -1.8796 0.6965  C5 1.091
12 H -1.9716 -1.7819 -1.1371  C6 1.078
13 H -2.3899 -1.0097 0.2008  C6 1.100
14 H -2.7186 1.2485 -1.3327  S7 1.340

Atomic partial charges in e from the natural (NBO) method, atoms 1 to 8: atom 1 (O): -0.633, atom 2 (C): 0.883, atom 3 (O): -0.712, atom 4 (N): -0.640, atom 5 (C): -0.233, atom 6 (C): -0.559, atom 7 (S): -0.043, atom 8 (H): 0.496

---

Copy entry 3 word for word.